Wildcat protocol queries Chainalysis oracle for checking whether lender is sanctioned or not. However according to docs(https://go.chainalysis.com/chainalysis-oracle-docs.html) provided by Chainalysis, they do not guarantee the timeliness of the data. What can happen here is as soon as the lender finds out that the address is sanctioned, he can transfer “market token” to other address he owns and request withdraw with that address. Unless sanction list from Chainalysis is updated within the batch duration period, lender can successfully withdraw his asset.
One assumption here is that “market token” has to be transferred before nukeFromOrbit is called(which can be easily done by front-running) as nukeFromOrbit moves all the balance to escrow contract.
// SPDX-License-Identifier: NONE
pragma solidity >=0.8.20;
import "forge-std/console.sol";
import './BaseMarketTest.sol';
contract Exploit is BaseMarketTest {
function testSanctionBypass() external {
## Inserted here: calculated crystals
+++
1.
The following is a PBE-GGA calculation of a geometry-optimized CuSbS2Br structure, from Alexandria via LeMat-Bulk.

Summary:
Formation energy from raw total energies ... -217 meV per atom
Symmetry ... P2_1/m, No. 11

POSCAR file:
```
CuSbS2Br
1.0
4.6789 0.0000 0.0000
0.0000 7.3683 -1.0607
0.0000 -2.8899 8.7142
Cu Sb S Br
2 2 4 2
direct
0.2500 0.5666 0.4123 Cu
0.7500 0.4334 0.5877 Cu
0.2500 0.6904 0.9065 Sb
0.7500 0.3096 0.0935 Sb
0.7500 0.5560 0.4022 S
0.2500 0.4440 0.5978 S
0.7500 0.4856 0.8447 S
0.2500 0.5144 0.1553 S
0.2500 0.9943 0.8110 Br
0.7500 0.0057 0.1890 Br
```

2.
The following is a PBE-GGA calculation of a geometry-optimized KFeCo structure, from Alexandria via LeMat-Bulk.

Summary:
Energy of formation ... 54 kJ/mol of atoms
Symmetry ... P4/nmm, No. 129

POSCAR file:
```
KFeCo
1.0
3.8714 0.0000 0.0000
0.0000 3.8714 0.0000
0.0000 0.0000 10.1973
K Co Fe
2 2 2
direct
0.0000 0.5000 0.8070 K
0.5000 0.0000 0.1930 K
0.0000 0.5000 0.3729 Co
0.5000 0.0000 0.6271 Co
0.0000 0.0000 0.5000 Fe
0.5000 0.5000 0.5000 Fe
```

3.
The following is a PBE-GGA calculation of a geometry-optimized CsNaCa2Rh structure, from Alexandria via LeMat-Bulk.

Summary:
Energy of formation ... 2 kJ/mol of atoms
Symmetry ... P4/mmm, No. 123

POSCAR file:
```
CsNaCa2Rh
1.0
5.5734 0.0000 0.0000
0.0000 5.5734 0.0000
0.0000 0.0000 6.2527
Cs Na Ca Rh
1 1 2 1
direct
0.5000 0.5000 0.5000 Cs
0.0000 0.0000 0.5000 Na
0.0000 0.5000 0.0000 Ca
0.5000 0.0000 0.0000 Ca
0.0000 0.0000 0.0000 Rh
```

4.
The following is a PBE-GGA calculation of a geometry-optimized PrDy2Pd structure, from Alexandria via LeMat-Bulk.

Summary:
Energy of formation ... -31 kJ/mol of atoms
Symmetry ... R3m, No. 160

POSCAR file:
```
PrDy2Pd
1.0
3.9026 0.0000 0.0000
1.9513 3.3797 0.0000
1.9513 1.1266 9.2193
Pr Dy Pd
1 2 1
direct
0.5016 0.5016 0.4952 Pr
0.0609 0.0609 0.8174 Dy
0.2717 0.2717 0.1848 Dy
0.6658 0.6658 0.0026 Pd
```

no.,Fermi-level density of states (states/eV per cell)
1,0.67
2,4.58
3,4.07
4,4.31

~~~~~

First-principles (PBE-GGA) data for a geometry-optimized LiHf3Tl structure, as listed in Alexandria.

Energy of formation from the pure elements: 0.651 eV/atom
Magnetic moment: 0.00 Bohr magnetons per cell

Cell: 4.737 4.737 4.737 Å, 90.00 90.00 90.00°
Sites, in units of the cell vectors:
Tl1 0.500 0.500 0.500
Hf1 0.000 0.500 0.000
Hf2 0.000 0.000 0.500
Hf3 0.500 0.000 0.000
Li1 0.000 0.000 0.000
+++
## End of the calculated crystals
address alice_bck = address(0xaaaa);
_deposit(alice, 1e18);
// Before nukeFromOrbit is called, alice transfers balance to alice_bck
market.transfer(alice_bck, market.balanceOf(alice));
// Grant alice_bck with withdrawOnly role
address[] memory markets = new address[](1);
Between two parts of the piece: crystal structures:
Below is a geometry-optimized RbLiZrTe3 structure, with properties calculated at the PBE level.

a b c (Å): 16.4240 4.2682 11.4882
angles (deg): 90.00 90.00 90.00
Atoms (fractional coordinates):
Rb  0.2302  0.2500  0.0373
Rb  0.2698  0.7500  0.5373
Rb  0.7302  0.2500  0.4627
Rb  0.7698  0.7500  0.9627
Li  0.0148  0.7500  0.0932
Li  0.4852  0.2500  0.5932
Li  0.5148  0.7500  0.4068
Li  0.9852  0.2500  0.9068
Zr  0.0139  0.2500  0.3306
Zr  0.4861  0.7500  0.8306
Zr  0.5139  0.2500  0.1694
Zr  0.9861  0.7500  0.6694
Te  0.0859  0.7500  0.8702
Te  0.0894  0.2500  0.5686
Te  0.1293  0.7500  0.2667
Te  0.3707  0.2500  0.7667
Te  0.4106  0.7500  0.0686
Te  0.4141  0.2500  0.3702
Te  0.5859  0.7500  0.6298
Te  0.5894  0.2500  0.9314
Te  0.6293  0.7500  0.2333
Te  0.8707  0.2500  0.7333
Te  0.9106  0.7500  0.4314
Te  0.9141  0.2500  0.1298

## Properties
Energy, eV/atom: -4.471

=====

Below is a geometry-optimized HfZrAlZn2 structure, with properties calculated at the PBE level.

a b c (Å): 3.1045 6.9989 6.9989
angles (deg): 35.66 90.00 90.00
Atoms (fractional coordinates):
Hf  0.0000  0.0000  0.0000
Zr  0.0000  0.7695  0.7695
Al  0.5000  0.3851  0.3851
Zn  0.5000  0.1837  0.1837
Zn  0.5000  0.5828  0.5828

## Properties
Energy, eV/atom: -5.289
markets[0] = address(market);
controller.updateLenderAuthorization(alice_bck, markets);
_requestWithdrawal(alice_bck, 1e18);
uint32 expiry = uint32(block.timestamp + parameters.withdrawalBatchDuration);
// alice_bck address shouldn't be sanctioned by sentinel in this period
market.executeWithdrawal(alice_bck, expiry);
console.log("Balance of alice_bck : %s", asset.balanceOf(alice_bck));
Tools Used
Visual Studio Code, Foundry
[Someone pasted data records at this point]
-- begin --
## CoTc2Ag (SCAN)

Data for a crystal of CoTc2Ag relaxed with PBEsol.

```
data_CoTc2Ag
_cell_length_a 3.663
_cell_length_b 3.663
_cell_length_c 4.025
_cell_angle_alpha 90.00
_cell_angle_beta 90.00
_cell_angle_gamma 90.00
_space_group_name_H-M_alt 'P 4/m m m'
_space_group_IT_number 123
_space_group_name_Hall '-P 4 2'
loop_
_atom_site_label
_atom_site_type_symbol
_atom_site_fract_x
_atom_site_fract_y
_atom_site_fract_z
Co1 Co 0.000 0.000 0.000
Tc1 Tc 0.000 0.500 0.500
Ag1 Ag 0.500 0.500 0.000
```

**Total energy**: -29.250 eV/atom
**ΔH_f (0 K)**: 0.45 eV/atom

## CoTc2Ag (SCAN)

Data for a crystal of CoTc2Ag relaxed with PBEsol.

```
data_CoTc2Ag
_cell_length_a 2.650
_cell_length_b 3.857
_cell_length_c 5.346
_cell_angle_alpha 90.00
_cell_angle_beta 90.00
_cell_angle_gamma 90.00
_space_group_name_H-M_alt 'P m m m'
_space_group_IT_number 47
loop_
_space_group_symop_operation_xyz
'x,y,z'
'-x,-y,-z'
'-x,-y,z'
'x,y,-z'
'x,-y,-z'
'-x,y,z'
'-x,y,-z'
'x,-y,z'
loop_
_atom_site_label
_atom_site_type_symbol
_atom_site_fract_x
_atom_site_fract_y
_atom_site_fract_z
Co1 Co 0.000 0.000 0.000
Tc1 Tc 0.500 0.500 0.216
Ag1 Ag 0.000 0.000 0.500
```

**Total energy**: -29.291 eV/atom
**ΔH_f (0 K)**: 0.41 eV/atom

## Co2TcAg (SCAN)

Data for a crystal of Co2TcAg relaxed with PBEsol.

```
data_Co2TcAg
_cell_length_a 2.600
_cell_length_b 3.639
_cell_length_c 5.413
_cell_angle_alpha 90.00
_cell_angle_beta 90.00
_cell_angle_gamma 90.00
_space_group_name_H-M_alt 'P m m 2'
_space_group_IT_number 25
loop_
_space_group_symop_operation_xyz
'x,y,z'
'-x,-y,z'
'-x,y,z'
'x,-y,z'
loop_
_atom_site_label
_atom_site_type_symbol
_atom_site_fract_x
_atom_site_fract_y
_atom_site_fract_z
Co1 Co 0.000 0.000 0.000
Co2 Co 0.500 0.500 0.225
Tc1 Tc 0.000 0.000 0.430
Ag1 Ag 0.500 0.500 0.737
```

**Total energy**: -24.810 eV/atom
**ΔH_f (0 K)**: 0.45 eV/atom

## CoAgTe2 (SCAN)

Data for a crystal of CoAgTe2 relaxed with PBEsol.

```
data_CoAgTe2
_cell_length_a 3.7050
_cell_length_b 3.7050
_cell_length_c 23.7728
_cell_angle_alpha 90.00
_cell_angle_beta 90.00
_cell_angle_gamma 120.00
_space_group_name_H-M_alt 'R -3 m'
_space_group_IT_number 166
_space_group_name_Hall '-R 3 2"'
loop_
_atom_site_label
_atom_site_type_symbol
_atom_site_fract_x
_atom_site_fract_y
_atom_site_fract_z
Co1 Co 0.0000 0.0000 0.0000
Ag1 Ag 0.0000 0.0000 0.5000
Te1 Te 0.0000 0.0000 0.3885
```

**Total energy**: -30.849 eV/atom
**Formation energy without anion corrections**: -0.055 eV/atom

## CoAgTe2 (SCAN)

Data for a crystal of CoAgTe2 relaxed with PBEsol.

```
data_CoAgTe2
_cell_length_a 6.896
_cell_length_b 6.896
_cell_length_c 6.896
_cell_angle_alpha 90.00
_cell_angle_beta 90.00
_cell_angle_gamma 90.00
_space_group_name_H-M_alt 'F -4 3 m'
_space_group_IT_number 216
_space_group_name_Hall 'F -4 2 3'
loop_
_atom_site_label
_atom_site_type_symbol
_atom_site_fract_x
_atom_site_fract_y
_atom_site_fract_z
Co1 Co 0.000 0.000 0.000
Ag1 Ag 0.250 0.250 0.250
Te1 Te 0.000 0.000 0.500
Te2 Te 0.250 0.250 0.750
```
-- stop --
[Here the article continues]
Recommended Mitigation Steps
Check whether lender is sanctioned before transferring token.
Lines of code
https://github.com/code-423n4/2023-10-wildcat/blob/c5df665f0bc2ca5df6f06938d66494b11e7bdada/src/market/WildcatMarketToken.sol#L64 https://github.com/code-423n4/2023-10-wildcat/blob/c5df665f0bc2ca5df6f06938d66494b11e7bdada/src/WildcatMarketController.sol#L182
Vulnerability details
Wildcat protocol queries Chainalysis oracle for checking whether lender is sanctioned or not. However according to docs(https://go.chainalysis.com/chainalysis-oracle-docs.html) provided by Chainalysis, they do not guarantee the timeliness of the data. What can happen here is as soon as the lender finds out that the address is sanctioned, he can transfer “market token” to other address he owns and request withdraw with that address. Unless sanction list from Chainalysis is updated within the batch duration period, lender can successfully withdraw his asset.
One assumption here is that “market token” has to be transferred before
is called(which can be easily done by front-running) as nukeFromOrbit moves all the balance to escrow contract.PoC
Tools Used
Visual Studio Code, Foundry
Recommended Mitigation Steps
Check whether lender is sanctioned before transferring token.
Assessed type